File =
[1]
38
Properties=species:S:1:pos:R:3:mulliken_charge:R:1 method="wB97M-V/def2-TZVPD" orbital_gap_ev="4.492 / 4.492" e_lumo_ev="-9.15 / -9.15" charge=+2
Tc 0.08 0.17 1.14 -0.084
S -2.03 0.41 -3.50 -0.034
C -3.33 0.10 -2.43 -0.642
C -2.94 0.06 -1.12 -0.810
C -1.56 0.38 -1.02 -0.123
C -0.87 0.45 -2.20 0.368
C 0.53 0.09 -2.26 0.572
C 1.41 0.32 -3.31 -0.733
C 2.66 -0.28 -3.29 -0.379
C 2.97 -1.18 -2.27 -0.862
C 2.06 -1.36 -1.25 -0.259
N 0.90 -0.70 -1.21 0.322
H -4.32 -0.04 -2.81 0.467
H -3.54 -0.26 -0.25 0.637
H 1.09 0.96 -4.12 0.474
H 3.39 -0.06 -4.06 0.467
H 3.88 -1.75 -2.29 0.448
H 2.22 -2.08 -0.45 0.517
F -1.09 3.66 3.37 -0.168
C -1.14 3.34 2.09 0.730
F -1.13 4.41 1.31 -0.157
F -2.25 2.62 1.85 -0.193
S 0.30 2.28 1.69 1.172
O 0.00 1.81 0.38 -0.347
O 1.56 2.84 2.02 -0.569
N 0.16 1.08 2.65 -0.485
S 1.67 0.50 2.34 1.104
O 1.86 0.65 0.91 -0.449
O 1.25 -0.92 2.43 -0.646
C 3.04 0.79 3.45 0.785
F 3.19 2.05 3.81 -0.134
F 2.80 0.03 4.50 -0.153
F 4.09 0.36 2.76 -0.162
Se -4.79 -6.63 -0.79 -0.160
Sb -3.47 -4.60 -0.09 0.605
Se -1.01 -1.36 0.77 0.918
Se -2.15 -2.84 0.32 0.039
Se -5.51 -5.30 0.92 -0.079

[2]
26
Properties=species:S:1:pos:R:3:mulliken_charge:R:1 method="wB97M-V/def2-TZVPD" smiles="Nc1nc(Cl)c(/C=N/O)c(-c2ccc(Cl)cc2Cl)n1" orbital_gap_ev=8.968 e_lumo_ev=0.15 charge=0
Cl 3.35 -1.13 -2.38 -0.143
Cl -2.48 2.14 4.28 -0.203
Cl 1.13 -1.14 2.03 -0.187
N 2.81 1.67 -1.16 -0.379
N 0.91 -2.15 -2.35 -0.550
N -0.83 -1.53 -1.01 -0.606
O 3.08 2.87 -0.46 -0.435
C 1.72 1.12 -0.84 -0.250
C -0.34 -2.15 -2.05 0.488
C 1.70 -1.13 -1.94 0.333
C -0.15 -0.53 -0.59 0.371
C -2.55 1.39 1.74 -0.650
C -0.76 0.61 3.00 -0.781
C -1.92 0.95 0.59 -0.278
C -1.94 1.33 2.94 0.599
C -0.21 -0.02 1.82 0.600
C 1.12 -0.24 -1.07 0.049
C -0.69 0.23 0.56 0.135
N -0.93 -3.17 -2.59 -0.499
H 3.96 3.21 -0.66 0.351
H 1.08 1.71 -0.17 0.479
H -3.58 1.89 1.65 0.279
H -0.33 0.37 3.98 0.354
H -2.41 1.09 -0.38 0.393
H -1.60 -3.65 -2.08 0.230
H -0.15 -3.74 -2.86 0.298

[3]
30
Properties=species:S:1:pos:R:3:mulliken_charge:R:1 method="wB97M-V/def2-TZVPD" orbital_gap_ev=5.923 e_lumo_ev=-5.00 charge=+1
F -5.60 -0.95 -0.40 -0.221
C -4.80 -0.04 0.24 0.841
F -5.57 1.04 0.59 -0.227
F -4.32 -0.62 1.39 -0.248
C -3.65 0.40 -0.60 -0.695
N -2.40 0.93 0.24 -0.148
H -3.38 -0.46 -1.22 0.368
H -3.97 1.22 -1.24 0.382
H -2.67 1.00 1.23 0.418
H -2.19 1.89 -0.06 0.443
O 1.75 -2.11 -3.28 -0.289
C 2.15 -1.52 -2.37 0.519
Co 2.88 -0.75 -0.94 -0.130
C 2.64 -2.12 0.12 0.136
O 2.58 -3.06 0.77 -0.282
C 4.47 -1.04 -1.62 0.384
O 5.54 -1.27 -2.01 -0.289
C 1.09 0.75 -0.89 -0.630
C 0.10 0.70 -0.02 -0.784
C -1.19 0.06 0.19 0.080
Co 1.82 0.81 0.75 0.286
C 1.63 -0.30 2.08 0.234
O 1.44 -1.02 2.95 -0.276
C 2.11 2.31 1.60 0.171
O 2.21 3.28 2.24 -0.323
C 3.78 0.31 0.51 0.352
O 4.85 0.42 0.97 -0.374
H 1.27 1.27 -1.82 0.612
H -1.17 -0.44 1.17 0.344
H -1.39 -0.69 -0.58 0.345

[4]
21
Properties=species:S:1:pos:R:3:mulliken_charge:R:1 method="wB97M-V/def2-TZVPD" orbital_gap_ev="7.120 / 7.119" e_lumo_ev="-0.59 / -0.59" charge=0
C 2.02 -2.09 0.15 -0.863
C 3.18 -1.31 0.04 -0.409
C 0.74 -1.59 -0.10 -0.369
C 3.10 0.05 -0.09 -0.905
C -2.84 1.30 0.03 -0.713
C -4.07 0.71 -0.19 -0.513
C 0.67 -0.22 -0.06 0.541
C -1.82 0.26 0.06 0.909
C 1.84 0.53 0.06 0.415
C -2.21 -1.09 -0.01 -0.747
C 0.12 1.94 0.10 -0.044
N -0.42 0.71 -0.03 0.313
O 1.49 1.86 0.11 -0.382
S -3.92 -0.98 0.06 -0.096
H 2.03 -3.10 0.22 0.463
H 4.12 -1.69 0.04 0.477
H 0.02 -2.34 -0.18 0.481
H 3.89 0.67 -0.26 0.534
H -2.50 2.38 0.05 0.034
H -4.91 1.29 -0.37 0.484
H -0.53 2.72 0.35 0.391
Activity =
Find the line further above that holds "1.67 0.50", then write out that line and all lines after it there.
Worked solution =
S 1.67 0.50 2.34 1.104
O 1.86 0.65 0.91 -0.449
O 1.25 -0.92 2.43 -0.646
C 3.04 0.79 3.45 0.785
F 3.19 2.05 3.81 -0.134
F 2.80 0.03 4.50 -0.153
F 4.09 0.36 2.76 -0.162
Se -4.79 -6.63 -0.79 -0.160
Sb -3.47 -4.60 -0.09 0.605
Se -1.01 -1.36 0.77 0.918
Se -2.15 -2.84 0.32 0.039
Se -5.51 -5.30 0.92 -0.079

[2]
26
Properties=species:S:1:pos:R:3:mulliken_charge:R:1 method="wB97M-V/def2-TZVPD" smiles="Nc1nc(Cl)c(/C=N/O)c(-c2ccc(Cl)cc2Cl)n1" orbital_gap_ev=8.968 e_lumo_ev=0.15 charge=0
Cl 3.35 -1.13 -2.38 -0.143
Cl -2.48 2.14 4.28 -0.203
Cl 1.13 -1.14 2.03 -0.187
N 2.81 1.67 -1.16 -0.379
N 0.91 -2.15 -2.35 -0.550
N -0.83 -1.53 -1.01 -0.606
O 3.08 2.87 -0.46 -0.435
C 1.72 1.12 -0.84 -0.250
C -0.34 -2.15 -2.05 0.488
C 1.70 -1.13 -1.94 0.333
C -0.15 -0.53 -0.59 0.371
C -2.55 1.39 1.74 -0.650
C -0.76 0.61 3.00 -0.781
C -1.92 0.95 0.59 -0.278
C -1.94 1.33 2.94 0.599
C -0.21 -0.02 1.82 0.600
C 1.12 -0.24 -1.07 0.049
C -0.69 0.23 0.56 0.135
N -0.93 -3.17 -2.59 -0.499
H 3.96 3.21 -0.66 0.351
H 1.08 1.71 -0.17 0.479
H -3.58 1.89 1.65 0.279
H -0.33 0.37 3.98 0.354
H -2.41 1.09 -0.38 0.393
H -1.60 -3.65 -2.08 0.230
H -0.15 -3.74 -2.86 0.298

[3]
30
Properties=species:S:1:pos:R:3:mulliken_charge:R:1 method="wB97M-V/def2-TZVPD" orbital_gap_ev=5.923 e_lumo_ev=-5.00 charge=+1
F -5.60 -0.95 -0.40 -0.221
C -4.80 -0.04 0.24 0.841
F -5.57 1.04 0.59 -0.227
F -4.32 -0.62 1.39 -0.248
C -3.65 0.40 -0.60 -0.695
N -2.40 0.93 0.24 -0.148
H -3.38 -0.46 -1.22 0.368
H -3.97 1.22 -1.24 0.382
H -2.67 1.00 1.23 0.418
H -2.19 1.89 -0.06 0.443
O 1.75 -2.11 -3.28 -0.289
C 2.15 -1.52 -2.37 0.519
Co 2.88 -0.75 -0.94 -0.130
C 2.64 -2.12 0.12 0.136
O 2.58 -3.06 0.77 -0.282
C 4.47 -1.04 -1.62 0.384
O 5.54 -1.27 -2.01 -0.289
C 1.09 0.75 -0.89 -0.630
C 0.10 0.70 -0.02 -0.784
C -1.19 0.06 0.19 0.080
Co 1.82 0.81 0.75 0.286
C 1.63 -0.30 2.08 0.234
O 1.44 -1.02 2.95 -0.276
C 2.11 2.31 1.60 0.171
O 2.21 3.28 2.24 -0.323
C 3.78 0.31 0.51 0.352
O 4.85 0.42 0.97 -0.374
H 1.27 1.27 -1.82 0.612
H -1.17 -0.44 1.17 0.344
H -1.39 -0.69 -0.58 0.345

[4]
21
Properties=species:S:1:pos:R:3:mulliken_charge:R:1 method="wB97M-V/def2-TZVPD" orbital_gap_ev="7.120 / 7.119" e_lumo_ev="-0.59 / -0.59" charge=0
C 2.02 -2.09 0.15 -0.863
C 3.18 -1.31 0.04 -0.409
C 0.74 -1.59 -0.10 -0.369
C 3.10 0.05 -0.09 -0.905
C -2.84 1.30 0.03 -0.713
C -4.07 0.71 -0.19 -0.513
C 0.67 -0.22 -0.06 0.541
C -1.82 0.26 0.06 0.909
C 1.84 0.53 0.06 0.415
C -2.21 -1.09 -0.01 -0.747
C 0.12 1.94 0.10 -0.044
N -0.42 0.71 -0.03 0.313
O 1.49 1.86 0.11 -0.382
S -3.92 -0.98 0.06 -0.096
H 2.03 -3.10 0.22 0.463
H 4.12 -1.69 0.04 0.477
H 0.02 -2.34 -0.18 0.481
H 3.89 0.67 -0.26 0.534
H -2.50 2.38 0.05 0.034
H -4.91 1.29 -0.37 0.484
H -0.53 2.72 0.35 0.391